Light and Fast Innovation Ecosystem

Keywords: management
Launch date:
01 January 2018
Describe your solution in 50 words or less
We proposed an innovative new management structure for managing an innovation ecosystem based on a distributed organization. Teams are organized as a network of nodes. Each node has a leader and the mindset to make this work includes autonomy, responsibility, empowerment, transparency and coordination of all team members.
What is the purpose of your solution
The world has changed, but the hierarchical organizational structures of the industrial age has not changed at the same level. The anachronistic VUCA (volatility, uncertainty, complexity and ambiguity), despite its military origin, is suitable to characterize the current dominant environment of many industries. Connected to this reality there are several cases of organizations that emerge successfully supported by flexible structures. On the other hand, many others traditional organizations are reinventing themselves, moving the bureaucratic structures for lighter and faster models. Over the last 15 years, the Scientific and Technological Park Tecnopuc was consolidated following the evolution of the business dynamics into a virtuous interaction of the triad University, companies and government. As a result of the growth process, until 2017 Tecnopuc""s innovation ecosystem was organized by specialized departments focused, for example, on business incubation and intellectual property and technology transfer. Supported by the mission of being an ecosystem of innovation and transformation vector of the University and society, during the review of its strategic plan for the next decades, one question regarding the VUCA world stood out. Is the consolidated organizational structure, that led Tecnopuc to be a benchmark, proper to meet the challenges of the coming years? Got evidence that the answer was no. Inspired by the comparison between alpinism and expedition, proposed by consultant Patrick Hollingworth in the book Light and Fast, Tecnopuc assumed as part of its central strategy the need of updating the organizational structure into a distributed model. The model adopted jointed all the departments related to the ecosystem of innovation in one single structure, organized in nodes. Instead of a formal Directive structure, that would lead and assume final decisions, it was created an Orchestration node responsible to assure the proper communication and sharing between the other 6 nodes: Projects Management, Startups, Laboratory of Creativity (CriaLab), Infrastructure Management, Prospecting and Negotiation, and Social Impact. The graph representing this structure is a web, in which each connection point forms a node, that assumes proper responsibilities, but are directly connected to each other
What is innovative about it
Over the last few decades, organizations have seen competition emerging from unexpected segments as they have observed entry barriers gradually decrease. Facing this scenario is one of the reasons that has led many organizations to establish interaction with innovation ecosystems all over the world, whether to create your business or reinvent it. The world business dynamics has been changing fast. It is critical for the sustainability of innovation ecosystems to be directly connected to the speed of this dynamics. Although innovation has always been at the heart of the operation, for years Tecnopuc was organized in a departmentalized structure. The pressure for rapid responses in uncertainty scenarios has put the model in check. Tecnopuc assumed that the solution to face the reality of VUCA world would not be external, it should start from an internal revision from the formal structure, as well as the mindset of all those involved. By proposing the adoption of a distributed model, with an environment of uncertainties as the center of the strategy, Tecnopuc has validated a replicable distributed management model that has the potential to connect with any other global ecosystem of innovation and contribute to create a large network of cooperation.
What impact has your solution had
The distributed organizational structure was proposed in 2017 as a result of the strategic planning of Tecnopuc. The methodology used to propose the new structure was Design Thinking, conducted with support from Tecnopuc""s creativity laboratory (Crialab). Over the course of 8 months, several data collection and analysis activities were carried out, discussions in large and small groups, aiming at proposing the new structure model. The model was evaluated in several instances and had its implementation started in 2018. The adoption of a distributed management model has, first of all, established the common being that the uncertainty environment is assumed as a source of opportunities identification, where solutions are not centralized in top management, but they need to be constantly co-created by the teams. Based on this approach, emerges the need to have teams sufficiently engaged in a core purpose, to enable a comfortable zone for taking decisions in complex scenarios. So, the implement of the model has been accompanied by the creation of a ""safety zone"" where teams need to feel empowered to make decisions with realities not previously foreseen. If in one hand the model suggests the reduction of bureaucratic processes, on the other it has substantially increased the demand for communication between peers. The model has demonstrated that the development of trust, respect and good communication became central in the node structure. Results indicate greater satisfaction of partners in the relationship with ecosystem management, as well as more agility and internal and external proximity. Results also indicate a better response time for interactions within the Tecnopuc community, including not only the management team, but all the interfaces with companies and researchers at the university.
Who are the main users
Although the implementation of Tecnopuc""s distributed organizational structure has focused on the internal reorganization of the 40 employees of the park, the impact of this change involves the entire ecosystem, since it optimizes the interaction of all actors, including established companies, startups, university, and other institutions.
Who runs it
*a*
Density functional theory data (PBE) for a geometry-optimized ZrTiCr4 structure.

Values from the calculation:
Theoretical density (g cm⁻³): 6.693
Spin magnetization (Bohr magnetons per cell): 0.000
V (Å³/cell): 172.22

POSCAR file:
```
ZrTiCr4
1.0
5.0008 0.0000 0.0000
-2.5004 4.3308 0.0000
0.0000 0.0000 7.9520
Zr Ti Cr
2 2 8
Direct
0.3333 0.6667 0.0649 Zr
0.6667 0.3333 0.9351 Zr
0.3333 0.6667 0.4440 Ti
0.6667 0.3333 0.5560 Ti
0.0000 0.0000 0.0000 Cr
0.0000 0.0000 0.5000 Cr
0.1691 0.3382 0.7406 Cr
0.1691 0.8309 0.7406 Cr
0.3382 0.1691 0.2594 Cr
0.6618 0.8309 0.7406 Cr
0.8309 0.1691 0.2594 Cr
0.8309 0.6618 0.2594 Cr
```


*b*
Density functional theory data (PBE) for a geometry-optimized ZrTiCr4 structure.

Values from the calculation:
Theoretical density (g cm⁻³): 6.677
V (Å³/cell): 86.32

POSCAR file:
```
ZrTiCr4
1.0
0.0000 3.5078 3.5078
3.5078 0.0000 3.5078
3.5078 3.5078 0.0000
Zr Ti Cr
1 1 4
Direct
0.0000 0.0000 0.0000 Zr
0.7500 0.7500 0.7500 Ti
0.3752 0.3752 0.3752 Cr
0.3752 0.3752 0.8745 Cr
0.3752 0.8745 0.3752 Cr
0.8745 0.3752 0.3752 Cr
```


Which of them is least stable? Easy: *a*.


*a*
Density functional theory data (PBE) for a geometry-optimized CsMg14Cu structure.

Values from the calculation:
Theoretical density (g cm⁻³): 2.270
Spin magnetization (Bohr magnetons per cell): 0.000
V (Å³/cell): 392.68

POSCAR file:
```
CsMg14Cu
1.0
6.4883 0.0000 0.0000
-3.2442 5.6190 0.0000
0.0000 0.0000 10.7706
Cs Mg Cu
1 14 1
Direct
0.0000 0.0000 0.0000 Cs
0.0060 0.5030 0.0000 Mg
0.1662 0.3323 0.2824 Mg
0.1662 0.3323 0.7176 Mg
0.1662 0.8338 0.2824 Mg
0.1662 0.8338 0.7176 Mg
0.4970 0.5030 0.0000 Mg
0.4970 0.9940 0.0000 Mg
0.5061 0.0123 0.5000 Mg
0.5061 0.4939 0.5000 Mg
0.6667 0.3333 0.2442 Mg
0.6667 0.3333 0.7558 Mg
0.6677 0.8338 0.2824 Mg
0.6677 0.8338 0.7176 Mg
0.9877 0.4939 0.5000 Mg
0.0000 0.0000 0.5000 Cu
```


*b*
Density functional theory data (PBE) for a geometry-optimized CsMg14Cu structure.

Values from the calculation:
Theoretical density (g cm⁻³): 2.278
Spin magnetization (Bohr magnetons per cell): 0.000
V (Å³/cell): 391.17

POSCAR file:
```
CsMg14Cu
1.0
10.7163 0.0000 0.0000
0.0000 3.1842 5.7317
0.0000 -3.1842 5.7317
Cs Mg Cu
1 14 1
Direct
0.0000 0.0000 0.0000 Cs
0.0000 0.0095 0.4934 Mg
0.0000 0.4934 0.0095 Mg
0.2365 0.6596 0.6596 Mg
0.2657 0.1704 0.6519 Mg
0.2657 0.6519 0.1704 Mg
0.2696 0.1701 0.1701 Mg
0.5000 0.5014 0.5014 Mg
0.5000 0.5025 0.9956 Mg
0.5000 0.9956 0.5025 Mg
0.5000 0.9985 0.9985 Mg
0.7304 0.1701 0.1701 Mg
0.7343 0.1704 0.6519 Mg
0.7343 0.6519 0.1704 Mg
0.7635 0.6596 0.6596 Mg
0.0000 0.4972 0.4972 Cu
```


Which of them is least stable? Easy: *a*.
Here the piece continues:
As result of the distributed organizational structure adopted, the responsibility for the development and management of the model is shared among the 7 nodes that compose Tecnopuc.
What comes next are calculated crystals, not part of the text:
~~~
a) Computed, not measured: a relaxed structure of Sc2Se3O10 at the PBE level of DFT.

Structure (POSCAR):
```
Sc2Se3O10
1.0
6.639 0.000 0.000
0.000 11.053 0.000
-2.956 0.000 12.578
Sc Se O
8 12 40
Cartesian
0.113 1.743 5.148
-1.365 3.784 11.437
0.165 7.806 6.718
1.643 8.773 0.429
2.040 2.279 12.149
3.518 3.247 5.860
5.048 7.269 1.141
3.570 9.310 7.431
-1.399 7.174 9.795
0.079 9.405 3.505
1.781 1.160 0.558
0.303 4.366 6.847
1.685 5.861 1.875
0.207 10.717 8.164
3.477 0.335 4.414
1.999 5.191 10.703
3.380 6.687 5.732
1.902 9.892 12.021
3.604 1.648 9.073
5.083 3.879 2.784
0.471 2.171 0.020
-1.007 3.356 6.309
-1.722 2.441 9.719
-0.244 3.085 3.430
-1.844 5.652 10.289
-0.366 10.927 3.999
0.588 7.011 1.114
-0.890 9.568 7.403
0.130 5.822 5.990
-1.348 10.757 12.279
-0.825 8.060 11.079
0.653 8.519 4.790
-0.138 7.004 8.692
1.340 9.575 2.403
0.409 0.816 6.940
1.888 4.710 0.651
-0.077 2.040 12.093
1.401 3.486 5.804
2.132 1.409 4.598
0.654 4.118 10.887
3.029 6.935 1.691
1.551 9.644 7.980
2.282 7.567 6.774
3.760 9.012 0.485
1.796 6.342 11.927
3.274 10.237 5.638
2.343 1.477 10.176
3.821 4.049 3.887
3.030 2.533 7.789
4.508 2.993 1.499
5.031 0.296 0.300
3.553 5.230 6.589
4.573 1.485 5.176
3.095 4.042 11.465
4.049 0.125 8.579
5.527 5.401 2.290
3.927 7.968 9.148
5.405 8.611 2.859
4.690 7.697 6.270
3.212 8.882 12.559
```

Computed properties:
Calculated volume = 923.0 Å³ per cell
Space-group type = No. 14

b) Computed, not measured: a relaxed structure of Sc2Se3O10 at the PBE level of DFT.

Structure (POSCAR):
```
Sc2Se3O10
1.0
6.672 0.000 0.000
0.000 11.333 0.000
0.000 0.000 12.575
Sc Se O
8 12 40
Cartesian
1.416 0.504 0.204
1.480 6.751 11.699
1.856 4.582 5.412
1.920 10.829 6.492
4.753 5.163 12.371
4.817 10.248 0.876
5.192 1.085 7.163
5.256 6.170 6.083
1.156 9.880 9.815
1.307 3.899 0.535
1.356 9.052 1.878
1.980 2.281 8.166
2.029 7.434 6.822
2.180 1.453 3.528
4.492 7.119 2.760
4.643 1.767 12.040
4.692 7.947 10.697
5.317 3.386 4.409
5.366 9.566 5.753
5.516 4.214 9.047
0.207 4.918 12.203
0.337 10.046 0.844
0.570 1.368 7.698
0.722 6.374 6.393
1.152 1.271 2.161
1.351 5.653 3.586
1.461 2.846 4.256
1.491 7.609 1.000
1.507 2.550 12.086
1.652 0.175 4.536
1.684 11.158 10.823
1.829 8.783 5.799
1.846 3.724 7.288
1.875 8.486 10.543
1.986 5.680 9.874
2.184 10.062 8.449
2.614 4.959 0.105
2.766 9.965 1.411
2.999 1.287 7.131
3.129 6.415 5.916
3.544 0.749 0.372
3.674 6.953 11.731
3.906 4.299 4.877
4.058 10.625 6.182
4.488 4.395 10.414
4.687 0.013 8.989
4.797 2.820 8.319
4.827 9.391 11.575
4.844 3.116 0.489
4.988 5.492 8.039
5.021 5.841 1.752
5.165 8.216 6.776
5.182 1.942 5.287
5.211 8.513 2.032
5.322 11.319 2.701
5.520 6.938 4.126
5.951 0.708 12.470
6.102 7.034 11.164
6.335 4.379 5.444
6.465 10.584 6.659
```

Computed properties:
Calculated volume = 950.9 Å³ per cell
Space-group type = No. 19

Going by the energies, a) is most stable and the next is 20.7 kJ/mol of atoms up.

a) Computed, not measured: a relaxed structure of Sc2Si2O7 at the PBE level of DFT.

Structure (POSCAR):
```
~~~
For more solutions from IASP member TECNOPUC - Parque Científico e Tecnológico da PUCRS click here